**Job**
Next, reproduce the whole of the contents further below exactly.

**Contents**
/*
[1]
Starting from a GGA-PBE-relaxed structure, the powder XRD pattern of TmSb6S8I4 was calculated for Cu Ka.
Peak positions follow from Bragg's law for the DFT cell and can differ from measured ones.

Cell and atoms:
Cell lengths 7.653, 8.973, 8.994 Å; angles 89.59, 71.75, 83.63 degrees
Fractional positions:
Tm1 0.000 0.000 0.000
Sb1 0.228 0.697 0.210
Sb2 0.231 0.070 0.563
Sb3 0.239 0.356 0.844
Sb4 0.761 0.644 0.156
Sb5 0.769 0.930 0.437
Sb6 0.772 0.303 0.790
S1 0.083 0.693 0.980
S2 0.086 0.989 0.272
S3 0.092 0.355 0.614
S4 0.334 0.071 0.811
S5 0.666 0.929 0.189
S6 0.908 0.645 0.386
S7 0.914 0.011 0.728
S8 0.917 0.307 0.020
I1 0.353 0.344 0.152
I2 0.360 0.716 0.525
I3 0.640 0.284 0.475
I4 0.647 0.656 0.848

Most intense lines, 15° ≤ 2θ ≤ 90°, most intense first:
2θ = 30.38°, intensity 100, hkl 2 1 -1; 2θ = 30.08°, intensity 73, hkl 0 3 0; 2θ = 29.91°, intensity 54, hkl 1 0 3; 2θ = 24.64°, intensity 46, hkl 2 0 0; 2θ = 48.19°, intensity 46, hkl 2 4 -1; 2θ = 28.52°, intensity 42, hkl -1 2 1; 2θ = 27.90°, intensity 40, hkl 2 1 2; 2θ = 33.41°, intensity 39, hkl 2 0 3; 2θ = 33.92°, intensity 34, hkl 1 -3 0; 2θ = 42.55°, intensity 30, hkl 1 3 3


[2]
Starting from a GGA-PBE-relaxed structure, the powder XRD pattern of ZrScS2I2 was calculated for Cu Ka.
Peak positions follow from Bragg's law for the DFT cell and can differ from measured ones.

Cell and atoms:
Cell lengths 3.900, 5.127, 9.036 Å; angles 90.00, 90.00, 90.00 degrees
Fractional positions:
Zr1 0.000 0.000 0.000
Sc1 0.500 0.500 0.812
S1 0.000 0.500 0.004
S2 0.500 0.000 0.814
I1 0.000 0.500 0.573
I2 0.500 0.000 0.247

Most intense lines, 15° ≤ 2θ ≤ 90°, most intense first:
2θ = 19.91°, intensity 100, hkl 0 1 1; 2θ = 30.28°, intensity 92, hkl 1 0 2; 2θ = 35.02°, intensity 54, hkl 0 2 0; 2θ = 46.94°, intensity 52, hkl 1 2 2; 2θ = 30.45°, intensity 39, hkl 1 1 1; 2θ = 41.79°, intensity 31, hkl 1 1 3; 2θ = 26.29°, intensity 20, hkl 0 1 2; 2θ = 28.76°, intensity 20, hkl 1 1 0; 2θ = 46.58°, intensity 16, hkl 2 0 0; 2θ = 51.13°, intensity 16, hkl 2 1 1


[3]
Starting from a GGA-PBE-relaxed structure, the powder XRD pattern of Zr2SeS2I was calculated for Cu Ka.
Peak positions follow from Bragg's law for the DFT cell and can differ from measured ones.

Cell and atoms:
Cell lengths 3.747, 6.467, 13.653 Å; angles 90.00, 90.00, 90.00 degrees
Fractional positions:
Zr1 0.000 0.011 0.000
Zr2 0.000 0.455 0.498
Zr3 0.500 0.545 0.998
Zr4 0.500 0.989 0.500
Se1 0.000 0.800 0.386
Se2 0.500 0.200 0.886
S1 0.000 0.137 0.609
S2 0.000 0.692 0.891
S3 0.500 0.308 0.391
S4 0.500 0.863 0.109
I1 0.000 0.365 0.145
I2 0.500 0.635 0.645

Most intense lines, 15° ≤ 2θ ≤ 90°, most intense first:
2θ = 33.96°, intensity 100, hkl 1 1 3; 2θ = 30.54°, intensity 82, hkl 1 1 2; 2θ = 28.33°, intensity 38, hkl 0 2 1; 2θ = 43.33°, intensity 38, hkl 1 1 5; 2θ = 49.22°, intensity 31, hkl 1 3 1; 2θ = 38.34°, intensity 26, hkl 0 2 4; 2θ = 48.92°, intensity 24, hkl 1 1 6; 2θ = 23.91°, intensity 18, hkl 0 1 3; 2θ = 48.60°, intensity 17, hkl 2 0 0; 2θ = 24.64°, intensity 13, hkl 1 0 1


[4]
Starting from a GGA-PBE-relaxed structure, the powder XRD pattern of Zr2SeSI2 was calculated for Cu Ka.
Peak positions follow from Bragg's law for the DFT cell and can differ from measured ones.

Cell and atoms:
Cell lengths 3.883, 6.849, 14.057 Å; angles 90.00, 90.00, 90.00 degrees
Fractional positions:
Zr1 0.000 0.025 0.000
Zr2 0.000 0.586 0.485
Zr3 0.500 0.414 0.985
Zr4 0.500 0.975 0.500
Se1 0.000 0.871 0.617
Se2 0.500 0.129 0.117
S1 0.000 0.314 0.884
S2 0.500 0.686 0.384
I1 0.000 0.197 0.373
I2 0.000 0.638 0.113
I3 0.500 0.362 0.613
I4 0.500 0.803 0.873

Most intense lines, 15° ≤ 2θ ≤ 90°, most intense first:
*/

**Reply**
[1]
Starting from a GGA-PBE-relaxed structure, the powder XRD pattern of TmSb6S8I4 was calculated for Cu Ka.
Peak positions follow from Bragg's law for the DFT cell and can differ from measured ones.

Cell and atoms:
Cell lengths 7.653, 8.973, 8.994 Å; angles 89.59, 71.75, 83.63 degrees
Fractional positions:
Tm1 0.000 0.000 0.000
Sb1 0.228 0.697 0.210
Sb2 0.231 0.070 0.563
Sb3 0.239 0.356 0.844
Sb4 0.761 0.644 0.156
Sb5 0.769 0.930 0.437
Sb6 0.772 0.303 0.790
S1 0.083 0.693 0.980
S2 0.086 0.989 0.272
S3 0.092 0.355 0.614
S4 0.334 0.071 0.811
S5 0.666 0.929 0.189
S6 0.908 0.645 0.386
S7 0.914 0.011 0.728
S8 0.917 0.307 0.020
I1 0.353 0.344 0.152
I2 0.360 0.716 0.525
I3 0.640 0.284 0.475
I4 0.647 0.656 0.848

Most intense lines, 15° ≤ 2θ ≤ 90°, most intense first:
2θ = 30.38°, intensity 100, hkl 2 1 -1; 2θ = 30.08°, intensity 73, hkl 0 3 0; 2θ = 29.91°, intensity 54, hkl 1 0 3; 2θ = 24.64°, intensity 46, hkl 2 0 0; 2θ = 48.19°, intensity 46, hkl 2 4 -1; 2θ = 28.52°, intensity 42, hkl -1 2 1; 2θ = 27.90°, intensity 40, hkl 2 1 2; 2θ = 33.41°, intensity 39, hkl 2 0 3; 2θ = 33.92°, intensity 34, hkl 1 -3 0; 2θ = 42.55°, intensity 30, hkl 1 3 3


[2]
Starting from a GGA-PBE-relaxed structure, the powder XRD pattern of ZrScS2I2 was calculated for Cu Ka.
Peak positions follow from Bragg's law for the DFT cell and can differ from measured ones.

Cell and atoms:
Cell lengths 3.900, 5.127, 9.036 Å; angles 90.00, 90.00, 90.00 degrees
Fractional positions:
Zr1 0.000 0.000 0.000
Sc1 0.500 0.500 0.812
S1 0.000 0.500 0.004
S2 0.500 0.000 0.814
I1 0.000 0.500 0.573
I2 0.500 0.000 0.247

Most intense lines, 15° ≤ 2θ ≤ 90°, most intense first:
2θ = 19.91°, intensity 100, hkl 0 1 1; 2θ = 30.28°, intensity 92, hkl 1 0 2; 2θ = 35.02°, intensity 54, hkl 0 2 0; 2θ = 46.94°, intensity 52, hkl 1 2 2; 2θ = 30.45°, intensity 39, hkl 1 1 1; 2θ = 41.79°, intensity 31, hkl 1 1 3; 2θ = 26.29°, intensity 20, hkl 0 1 2; 2θ = 28.76°, intensity 20, hkl 1 1 0; 2θ = 46.58°, intensity 16, hkl 2 0 0; 2θ = 51.13°, intensity 16, hkl 2 1 1


[3]
Starting from a GGA-PBE-relaxed structure, the powder XRD pattern of Zr2SeS2I was calculated for Cu Ka.
Peak positions follow from Bragg's law for the DFT cell and can differ from measured ones.

Cell and atoms:
Cell lengths 3.747, 6.467, 13.653 Å; angles 90.00, 90.00, 90.00 degrees
Fractional positions:
Zr1 0.000 0.011 0.000
Zr2 0.000 0.455 0.498
Zr3 0.500 0.545 0.998
Zr4 0.500 0.989 0.500
Se1 0.000 0.800 0.386
Se2 0.500 0.200 0.886
S1 0.000 0.137 0.609
S2 0.000 0.692 0.891
S3 0.500 0.308 0.391
S4 0.500 0.863 0.109
I1 0.000 0.365 0.145
I2 0.500 0.635 0.645

Most intense lines, 15° ≤ 2θ ≤ 90°, most intense first:
2θ = 33.96°, intensity 100, hkl 1 1 3; 2θ = 30.54°, intensity 82, hkl 1 1 2; 2θ = 28.33°, intensity 38, hkl 0 2 1; 2θ = 43.33°, intensity 38, hkl 1 1 5; 2θ = 49.22°, intensity 31, hkl 1 3 1; 2θ = 38.34°, intensity 26, hkl 0 2 4; 2θ = 48.92°, intensity 24, hkl 1 1 6; 2θ = 23.91°, intensity 18, hkl 0 1 3; 2θ = 48.60°, intensity 17, hkl 2 0 0; 2θ = 24.64°, intensity 13, hkl 1 0 1


[4]
Starting from a GGA-PBE-relaxed structure, the powder XRD pattern of Zr2SeSI2 was calculated for Cu Ka.
Peak positions follow from Bragg's law for the DFT cell and can differ from measured ones.

Cell and atoms:
Cell lengths 3.883, 6.849, 14.057 Å; angles 90.00, 90.00, 90.00 degrees
Fractional positions:
Zr1 0.000 0.025 0.000
Zr2 0.000 0.586 0.485
Zr3 0.500 0.414 0.985
Zr4 0.500 0.975 0.500
Se1 0.000 0.871 0.617
Se2 0.500 0.129 0.117
S1 0.000 0.314 0.884
S2 0.500 0.686 0.384
I1 0.000 0.197 0.373
I2 0.000 0.638 0.113
I3 0.500 0.362 0.613
I4 0.500 0.803 0.873

Most intense lines, 15° ≤ 2θ ≤ 90°, most intense first: